• Activity:
Now work out how many lines underneath have the word "structure" in them; a number is enough.

• Material:
-- begin --
# 1
Here is an optimized crystal structure of Pr8Er4Th from the Alexandria database. Energies are from GGA-PBE.

Its formation energy is 0.22 eV/atom. As for the spin magnetization: 0.00 μB per atom. The volume is 35.06 Å³/atom. Its density of states at the Fermi level is 1.16 states/eV per atom. The calculation puts the final energy at -4.694 eV/atom.

It has space group R-3m (No. 166, hexagonal axes), with a = 7.3724 Å, b = 7.3724 Å, c = 29.0516 Å, α = 90.00°, β = 90.00° and γ = 120.00°. Symmetry generates all atoms from Pr at (0.0000, 0.0000, 0.2134), Pr at (0.0325, 0.5162, 0.7629), Er at (0.0000, 0.0000, 0.0000), Er at (0.0000, 0.5000, 0.0000) and Th at (0.0000, 0.0000, 0.5000).

# 2
Here is an optimized crystal structure of CaAl3Bi from the Alexandria database. Energies are from GGA-PBE.

As for the offset from the most stable computed form: 0.367 eV/atom. Its formation energy is 1.06 eV/atom. As for the spin magnetization: 0.00 μB per atom. The volume is 33.70 Å³/atom. Its density of states at the Fermi level is 0.96 states/eV per atom. The calculation puts the final energy at -2.360 eV/atom.

It has space group Pm-3m (No. 221), with a = 5.524 Å, b = 5.524 Å, c = 5.524 Å, α = 90.00°, β = 90.00° and γ = 90.00°. Symmetry generates all atoms from Ca at (0.000, 0.000, 0.000), Al at (0.000, 0.000, 0.500) and Bi at (0.500, 0.500, 0.500).

# 3
Here is an optimized crystal structure of CsSrF3 from the Alexandria database. Energies are from GGA-PBE.

As for the offset from the most stable computed form: 0.000 eV/atom. Its energy relative to the elements, uncorrected is -17.164 eV per formula unit. As for the spin magnetization: 0.00 μB per atom. The volume is 22.22 Å³/atom. Its density of states at the Fermi level is 0.00 states/eV per atom. The calculation puts the final energy at -5.063 eV/atom.

It has space group P-1 (No. 2), with a = 6.763 Å, b = 6.772 Å, c = 6.813 Å, α = 119.80°, β = 119.74° and γ = 90.00°. Symmetry generates all atoms from Cs at (0.250, 0.247, 0.000), Sr at (0.000, 0.500, 0.500), Sr at (0.500, 0.000, 0.500), F at (0.202, 0.789, 0.491), F at (0.251, 0.762, 0.000) and F at (0.297, 0.297, 0.508).

# 4
Here is an optimized crystal structure of CrCoSb2 from the Alexandria database. Energies are from GGA-PBE.

Its energy relative to the elements, uncorrected is 0.771 eV per formula unit. As for the spin magnetization: 0.80 μB per atom. The volume is 18.56 Å³/atom. Its density of states at the Fermi level is 0.61 states/eV per atom. The calculation puts the final energy at -6.051 eV/atom.

It has space group Imm2 (No. 44), with a = 3.096 Å, b = 3.919 Å, c = 12.235 Å, α = 90.00°, β = 90.00° and γ = 90.00°. Symmetry generates all atoms from Cr at (0.000, 0.000, 0.000), Co at (0.000, 0.500, 0.284), Sb at (0.000, 0.000, 0.610) and Sb at (0.000, 0.500, 0.845).

# 5
Here is an optimized crystal structure of Pu2PdPb from the Alexandria database. Energies are from GGA-PBE.

Its formation energy is -0.27 eV/atom. As for the spin magnetization: 2.87 μB per atom. The volume is 23.39 Å³/atom. Its density of states at the Fermi level is 2.73 states/eV per atom. The calculation puts the final energy at -9.662 eV/atom.

It has space group P4/mmm (No. 123), with a = 4.436 Å, b = 4.436 Å, c = 4.754 Å, α = 90.00°, β = 90.00° and γ = 90.00°. Symmetry generates all atoms from Pu at (0.000, 0.500, 0.000), Pd at (0.000, 0.000, 0.500) and Pb at (0.500, 0.500, 0.500).

# 6
Here is an optimized crystal structure of Ti2Ga2Au from the Alexandria database. Energies are from GGA-PBE.

As for the offset from the most stable computed form: 0.052 eV/atom. Its formation energy is -0.37 eV/atom. As for the spin magnetization: 0.00 μB per atom. The volume is 16.49 Å³/atom. Its density of states at the Fermi level is 0.56 states/eV per atom. The calculation puts the final energy at -5.391 eV/atom.
-- stop --

• Completed:
6